• Request:
Now copy the part of the data underneath that starts with the line with "22; (2" and stops after the one with "Compound: Cu9P4H2O20".

• Material:
This entry pairs a crystal structure of Rb4Cr3F10 with its simulated powder XRD pattern. Radiation: Cu Kα, 1.54184 Å. Structure: DFT lattice parameters and positions (GGA+U).
Kinematic intensities with the Lorentz-polarization factor, no thermal factor.

Top 12 peaks for 10 to 80 degrees two-theta, low angle first:
(1 0 7), 3.128 Å, 28.5°, I 100; (1 1 0), 2.928 Å, 30.5°, I 53; (1 1 8), 2.397 Å, 37.5°, I 22; (0 0 14), 2.386 Å, 37.7°, I 28; (2 0 0), 2.071 Å, 43.7°, I 42; (1 1 14), 1.850 Å, 49.3°, I 22; (2 1 7), 1.727 Å, 53.0°, I 34; (2 0 14), 1.564 Å, 59.1°, I 26; (2 2 0), 1.464 Å, 63.5°, I 12; (3 0 7), 1.326 Å, 71.1°, I 7; (3 1 0), 1.310 Å, 72.1°, I 8; (2 2 14), 1.248 Å, 76.3°, I 11

Cell and atoms:
a b c (Å): 4.141 4.141 33.402
angles (deg): 90.00 90.00 90.00
Space group I4/mmm (No. 139)
Unique sites:
Rb (0.000, 0.000, 0.069)
Rb (0.000, 0.000, 0.207)
Cr (0.000, 0.000, 0.361)
Cr (0.000, 0.000, 0.500)
F (0.000, 0.000, 0.291)
F (0.000, 0.000, 0.430)
F (0.000, 0.500, 0.000)
F (0.000, 0.500, 0.139)


1.
Simulated PXRD pattern
Compound: Cu2PHO5
Radiation: Cu Kα (weighted mean of Kα1 and Kα2)
Structure: the PBE geometry in the Materials Project
Neutral-atom scattering factors, no anomalous dispersion.

Peak list (10 most intense, 15° ≤ 2θ ≤ 90°, by angle)
- 5.885 Å, intensity 100, hkl 1 1 0
- 4.888 Å, intensity 94, hkl 0 1 1
- 4.811 Å, intensity 78, hkl 1 0 1
- 3.775 Å, intensity 59, hkl 1 2 0
- 2.942 Å, intensity 93, hkl 2 2 0
- 2.682 Å, intensity 60, hkl 1 3 0
- 2.661 Å, intensity 93, hkl 1 1 2
- 2.584 Å, intensity 43, hkl 3 1 0
- 2.445 Å, intensity 50, hkl 1 3 1
- 1.734 Å, intensity 41, hkl 0 4 2

Structure:
Lattice parameters (Å, degrees): 8.1357 8.5225 5.9666 90.00 90.00 90.00
Space group Pnnm (No. 58)
One atom of each set of equivalent atoms:
Cu: 0.0000 0.0000 0.2488 x4
Cu: 0.1385 0.3714 0.0000 x4
P: 0.2324 0.7535 0.0000 x4
H: 0.0765 0.7917 0.5000 x4
O: 0.1017 0.6186 0.0000 x4
O: 0.1245 0.8978 0.5000 x4
O: 0.1365 0.9144 0.0000 x4
O: 0.1579 0.2414 0.2896 x8

=====

2.
Simulated PXRD pattern
Compound: Cu9P4H2O20
Radiation: Cu Kα (weighted mean of Kα1 and Kα2)
Structure: the PBE geometry in the Materials Project
Neutral-atom scattering factors, no anomalous dispersion.

Peak list (10 most intense, 15° ≤ 2θ ≤ 90°, by angle)
- 4.198 Å, intensity 40, hkl 1 1 0
- 3.747 Å, intensity 36, hkl 1 0 -2
- 3.722 Å, intensity 100, hkl 0 2 0
- 3.122 Å, intensity 55, hkl 1 2 -2
- 2.775 Å, intensity 45, hkl 0 2 -3
- 2.639 Å, intensity 74, hkl 0 0 3
- 2.623 Å, intensity 36, hkl 2 1 -2
- 2.600 Å, intensity 75, hkl 2 -1 1
- 2.428 Å, intensity 35, hkl -2 1 2
- 2.388 Å, intensity 57, hkl 1 2 1

Structure:
Lattice parameters (Å, degrees): 5.9559 8.2353 8.9325 113.34 102.10 94.31
Space group P-1 (No. 2)
One atom of each set of equivalent atoms:
Cu: 0.0000 0.0000 0.0000 x1
Cu: 0.0264 0.3204 0.3563 x2
Cu: 0.1813 0.3977 0.0555 x2
Cu: 0.3185 0.2202 0.6822 x2
Cu: 0.4357 0.1806 0.2915 x2
P: 0.2007 0.7524 0.4070 x2
P: 0.3368 0.7285 0.9696 x2
H: 0.1367 0.0446 0.3841 x2
O: 0.0117 0.8290 0.3183 x2
O: 0.0865 0.5978 0.4399 x2
O: 0.1536 0.5676 0.9454 x2
O: 0.1647 0.2385 0.1663 x2
O: 0.2277 0.1714 0.4385 x2
O: 0.2713 0.9099 0.0756 x2
O: 0.3328 0.9049 0.5820 x2
O: 0.3338 0.7125 0.7902 x2
O: 0.3662 0.6712 0.2949 x2
O: 0.4156 0.2804 0.9366 x2

=====

3.
Simulated PXRD pattern
Compound: CuPH5O5
Radiation: Cu Kα (weighted mean of Kα1 and Kα2)
Structure: the PBE geometry in the Materials Project
Neutral-atom scattering factors, no anomalous dispersion.

Peak list (10 most intense, 15° ≤ 2θ ≤ 90°, by angle)
- 5.595 Å, intensity 100, hkl 0 1 1
- 4.895 Å, intensity 38, hkl 1 1 -1
- 3.659 Å, intensity 15, hkl 0 1 2
- 3.228 Å, intensity 14, hkl 2 0 -2
- 3.104 Å, intensity 14, hkl 1 0 2
- 2.826 Å, intensity 61, hkl 1 2 -2
- 2.626 Å, intensity 35, hkl 2 1 1
- 2.268 Å, intensity 11, hkl 2 0 2
- 2.208 Å, intensity 11, hkl 1 1 3
- 1.916 Å, intensity 12, hkl 1 3 -3

Structure:
Lattice parameters (Å, degrees): 7.1714 7.5187 8.9317 90.00 110.31 90.00
Space group P2_1/c (No. 14)

• Solution:
(1 0 7), 3.128 Å, 28.5°, I 100; (1 1 0), 2.928 Å, 30.5°, I 53; (1 1 8), 2.397 Å, 37.5°, I 22; (0 0 14), 2.386 Å, 37.7°, I 28; (2 0 0), 2.071 Å, 43.7°, I 42; (1 1 14), 1.850 Å, 49.3°, I 22; (2 1 7), 1.727 Å, 53.0°, I 34; (2 0 14), 1.564 Å, 59.1°, I 26; (2 2 0), 1.464 Å, 63.5°, I 12; (3 0 7), 1.326 Å, 71.1°, I 7; (3 1 0), 1.310 Å, 72.1°, I 8; (2 2 14), 1.248 Å, 76.3°, I 11

Cell and atoms:
a b c (Å): 4.141 4.141 33.402
angles (deg): 90.00 90.00 90.00
Space group I4/mmm (No. 139)
Unique sites:
Rb (0.000, 0.000, 0.069)
Rb (0.000, 0.000, 0.207)
Cr (0.000, 0.000, 0.361)
Cr (0.000, 0.000, 0.500)
F (0.000, 0.000, 0.291)
F (0.000, 0.000, 0.430)
F (0.000, 0.500, 0.000)
F (0.000, 0.500, 0.139)


1.
Simulated PXRD pattern
Compound: Cu2PHO5
Radiation: Cu Kα (weighted mean of Kα1 and Kα2)
Structure: the PBE geometry in the Materials Project
Neutral-atom scattering factors, no anomalous dispersion.

Peak list (10 most intense, 15° ≤ 2θ ≤ 90°, by angle)
- 5.885 Å, intensity 100, hkl 1 1 0
- 4.888 Å, intensity 94, hkl 0 1 1
- 4.811 Å, intensity 78, hkl 1 0 1
- 3.775 Å, intensity 59, hkl 1 2 0
- 2.942 Å, intensity 93, hkl 2 2 0
- 2.682 Å, intensity 60, hkl 1 3 0
- 2.661 Å, intensity 93, hkl 1 1 2
- 2.584 Å, intensity 43, hkl 3 1 0
- 2.445 Å, intensity 50, hkl 1 3 1
- 1.734 Å, intensity 41, hkl 0 4 2

Structure:
Lattice parameters (Å, degrees): 8.1357 8.5225 5.9666 90.00 90.00 90.00
Space group Pnnm (No. 58)
One atom of each set of equivalent atoms:
Cu: 0.0000 0.0000 0.2488 x4
Cu: 0.1385 0.3714 0.0000 x4
P: 0.2324 0.7535 0.0000 x4
H: 0.0765 0.7917 0.5000 x4
O: 0.1017 0.6186 0.0000 x4
O: 0.1245 0.8978 0.5000 x4
O: 0.1365 0.9144 0.0000 x4
O: 0.1579 0.2414 0.2896 x8

=====

2.
Simulated PXRD pattern
Compound: Cu9P4H2O20